Ugh! Having one of the busiest summers ever has not left much time to shoot. I was strong & shooting well way back in march from doing a lot of basement blank baling. Took a few shots over the weekend and man I was weak, but...still hitting better than I expected @ 10-12 yds. Fatigue set in after only a few shots & I had to slow it down a good bit between arrows. I need to make more time to practice if I have any hopes of giving it a go with the trad gear this fall.
Yeah time away from my bow is a bummer! The longest I haven't shot is 13 days, seems like forever! We have a Music festival that is 11 days long, averages about 100,000 people a night, I'm at my stage from 7am - 2am for 12 days straight, no time to shoot, it kills me not to be able to loose a few arrows!
Quantum chemistry results that have nothing to do with the entry =
<<<
C10H7Cl | wB97M-V/def2-TZVPD

The geometry in XYZ format:
```
18
Properties=species:S:1:pos:R:3:mulliken_charge:R:1
C 1.9438 1.4923 0.5107 -0.69
C 2.0409 0.3939 1.3475 -0.40
C 0.8825 1.4565 -0.4470 -0.44
C 1.1074 -0.6055 1.4148 -0.68
C -0.1023 0.4766 -0.2848 0.14
C -0.0189 -0.6315 0.6402 0.71
C -1.3693 0.4242 -1.0026 0.21
C -1.1543 -1.4656 0.4556 -1.08
C -1.4232 -0.4728 -2.2675 -0.55
C -2.0254 -0.8923 -0.4069 0.09
Cl -3.5180 -1.5120 -0.7803 -0.15
H 2.6900 2.1599 0.5303 0.52
H 2.9400 0.5077 1.9255 0.33
H 0.6128 2.1809 -1.2736 0.32
H 1.1843 -1.4164 2.0313 0.50
H -2.1253 1.3209 -1.1089 0.40
H -1.3169 -2.3360 0.9720 0.58
H -0.3479 -1.0807 -2.2562 0.20
```

Energy relative to the best compared isomer or geometry (same formula, charge and spin) (eV): 4.505
HOMO level (eV): -8.306
HOMO-LUMO gap (eV): 7.51
LUMO energy (Ha): -0.0292



C23H30N3 | wB97M-V/def2-TZVPD

The geometry in XYZ format:
```
56
Properties=species:S:1:pos:R:3:mulliken_charge:R:1
C -1.9408 -2.1949 2.0309 -2.16
C -0.7339 -1.6120 1.3924 0.53
N -0.4944 -0.2918 1.6660 0.65
C 0.7928 0.2768 1.7490 0.79
C 2.0284 -0.3514 1.6845 -0.70
C 3.1658 0.4510 1.8583 -0.69
C 3.0443 1.8305 2.1023 -0.98
C 1.7886 2.4439 2.1913 -0.09
C 0.6536 1.6552 2.0184 0.31
C -0.7489 1.9406 2.1057 0.17
C -1.4528 0.7281 1.9083 0.59
C -2.8377 0.6849 2.0315 -0.60
C -3.5144 1.8758 2.3456 -0.89
C -2.8207 3.0828 2.4965 -0.73
C -1.4275 3.1292 2.3824 -0.55
H -1.7202 -3.2514 2.2344 0.46
H -2.1821 -1.7227 2.9906 0.56
H -2.8169 -2.1182 1.3762 0.53
H 0.1609 -2.2333 1.4788 0.41
H 2.0909 -1.4300 1.5268 0.33
H 4.1553 -0.0088 1.8215 0.45
H 3.9479 2.4241 2.2337 0.37
H 1.6609 3.5026 2.4026 0.43
H -3.3795 -0.2482 1.9047 0.34
H -4.5964 1.8494 2.4746 0.42
H -3.3781 3.9928 2.7155 0.40
H -0.8530 4.0389 2.5052 0.47
C 3.2438 0.8649 -2.0232 -0.78
C 2.5376 2.1181 -1.4631 0.03
C 1.0333 1.8749 -1.6646 -0.83
N 0.9061 0.4502 -1.8612 0.72
C -0.3295 0.0026 -2.4319 -1.63
C -0.4960 -1.4787 -2.1858 0.08
C -1.7452 -2.1093 -2.7726 -0.81
C -1.9280 -3.3816 -1.9282 -0.68
C -0.9863 -3.2274 -0.7269 -0.45
N -0.5713 -1.8084 -0.7524 0.03
C 2.1182 -0.0809 -2.4727 -0.75
H 3.8960 1.1168 -2.8650 0.35
H 3.8398 0.3739 -1.2466 0.26
H 2.7385 2.2156 -0.3924 -0.37
H 2.8553 3.0344 -1.9673 0.52
H 0.4304 2.2000 -0.8022 0.23
H 0.6699 2.4498 -2.5418 0.41
H -1.1824 0.5486 -1.9992 0.44
H -0.3431 0.1413 -3.5360 0.32
H 0.3931 -1.9906 -2.5923 0.38
H -2.5853 -1.4112 -2.6494 0.34
H -1.6232 -2.3064 -3.8440 0.39
H -2.9665 -3.4870 -1.6051 0.33
H -1.6525 -4.2754 -2.4947 0.29
H -1.4857 -3.5102 0.1978 0.21
H -0.1003 -3.8769 -0.8357 0.37
H 0.3867 -1.6706 -0.4239 0.12
H 2.0551 -0.0973 -3.5827 0.33
H 2.2993 -1.1232 -2.1647 0.33
```

Energy relative to the best compared isomer or geometry (same formula, charge and spin) (eV): 1.360
HOMO level (eV): -11.065
HOMO-LUMO gap (eV): 6.88
Net charge: +1
LUMO energy (Ha): -0.1537



Cl2ILi2 | wB97M-V/def2-TZVPD

The geometry in XYZ format:
```
5
Properties=species:S:1:pos:R:3:mulliken_charge:R:1
Li 1.4287 1.2502 1.3557 0.70
Li -0.6139 0.3107 -0.5821 0.71
>>>
So much for the quantum chemistry results =
This year I've shot fewer arrows then I can ever remember In my life but my shooting hasn't been to bad. Been super busy and man do I miss It!! Last year I got tendinitis In both of my elbows and It made shooting tough last year. This year when I've shot I haven't felt near the pain as I did last year but I still get the shakes a little In my bow arm. This might have to be the norm for me from here on out though If this tendinitis doesn't ever go away which I'm thinking It won't. Best of luck Rybo!!!
Come August 1 I will live at elevation shooting broadheads for two months. I have to gain the confidence from thousands of more shots from my treestand height and using the exact equipment I will be using this fall to fully commit with this recurve! BOYS, it is time to KILL! The countdown has begun! Steve, are you taking anti-inflammatory medicine for your tendinitis? If so, you might have to just stop taking the medication and ice your arm for the next month. I once told a guy who had chronic wrist problems to stop taking any anti-inflammatories. He laughed at me because he had taken them for years. But he listened and was pain free within 3 months. I am not saying every 4-5 days you cannot take any pills to relieve the pain, I am just saying to significantly reduce the pills. When you take that medication it prevents your body from knitting itself back together and therefore just extends the healing process, and in fact you will never heal. BUT, if you do not take any anti-inflammatories then I just typed all that for nothing! LOL.
Thats why I try, ( I don't always do it but I try), to shoot at least one arrow every day.If I get home late I put the target under my barn light and shoot one arrow from 15-20 yards. It really helps keep my form in shape. I still suck at shooting, lol, but my arm doesn't get tired!
40
Properties=species:S:1:pos:R:3 method="wB97M-V/def2-TZVPD" relative_energy_ev=0.015 homo_lumo_gap_ev=9.656 smiles="NCCCC[C@H](NC(=O)[C@@H](N)CCC(=O)O)C(=O)O" max_force_ev_per_a=2.1 energy_ev=-26456.7828 total_charge=0
C 2.750 -0.022 1.132
C 2.078 0.902 0.123
C 3.332 -1.289 0.519
C 2.309 -2.303 -0.078
C 1.583 -1.794 -1.322
C -0.086 1.878 -0.448
C 0.248 3.382 -0.592
C -1.542 1.748 -0.081
C -2.033 0.285 -0.103
C -3.483 0.151 0.361
C -4.036 -1.269 0.485
H 1.697 0.480 2.816
H 2.471 -0.950 2.933
H 3.662 0.564 1.330
H 3.851 -1.827 1.343
H 4.097 -0.984 -0.204
H 1.602 -2.560 0.715
H 2.935 -3.112 -0.489
H 1.786 -1.358 -3.135
H 0.463 0.792 1.325
H -0.007 1.392 -1.461
H -1.702 2.216 0.888
H -2.058 2.338 -0.818
H -1.777 -0.168 -1.066
H -1.401 -0.314 0.630
H -4.134 0.715 -0.363
H -3.550 0.709 1.305
H -5.121 -1.119 0.747
H -3.498 -1.824 1.260
H -3.039 -2.014 -1.175
H -4.484 -2.673 -0.968
H 1.926 2.875 -1.266
N 1.946 -0.368 2.310
N 0.842 1.230 0.488
N -3.980 -1.800 -0.857
O 2.659 1.361 -0.885
O 0.413 -1.509 -1.408
O 2.361 -1.694 -2.435
O -0.573 4.275 -0.615
O 1.491 3.659 -0.942


ClNO6S2 as an isolated structure at a distorted geometry. Source: the OMol25 dataset; level of theory: ωB97M-V/def2-TZVPD.

Structure (XYZ):
```
10
Properties=species:S:1:pos:R:3:forces:R:3
Cl -1.0706 2.7710 -0.0816 -0.121 0.213 -0.249
S 0.7430 -0.9509 0.9689 4.436 -3.557 1.116
S -0.5454 0.2824 -1.0093 0.571 2.982 -1.457
O -1.8636 0.1072 -1.5438 -1.095 -0.790 -0.780
O 0.4428 0.7361 -1.9843 -0.354 -1.079 -0.345
O -0.1206 -1.1424 -0.4311 -0.137 0.492 0.292
O 1.7624 0.0356 0.6308 -0.319 -1.109 0.595
O 1.3005 -2.3416 1.1705 -0.675 1.897 -1.088
O -0.1752 -0.6906 2.0125 -1.327 0.677 1.271
N -0.4733 1.1933 0.2675 -0.979 0.273 0.645
```
Forces are in eV/Å.

electronic energy: -47966.248 eV
frontier orbital gap: 0.2254 Eh
total charge: -2

Atomic partial charges in e from the Löwdin method, atoms 1 to 8: number 1, Cl, carries 0.37; number 2, S, carries 0.35; number 3, S, carries 0.31; number 4, O, carries -0.38; number 5, O, carries -0.39; number 6, O, carries -0.37; number 7, O, carries -0.37; number 8, O, carries -0.43
I have a brand new Silvertip that's never been shot. I got it in April. You've got time. Shoot when you want to or can. Good luck.
........
1.
31
Properties=species:S:1:pos:R:3 method="wB97M-V/def2-TZVPD" homo_lumo_gap_ev="9.66 / 6.45" spin_multiplicity=3 homo_energy_ev="-17.75 / -17.74" total_energy_ev=-63270.7290 e_lumo_ev="-8.0861 / -11.2866" s2=2.01 charge=+2
O 1.6113 3.2709 0.4585
H 1.1835 -4.8287 -1.3255
F -0.3242 5.7304 0.7044
Au 0.5870 0.0765 -1.3949
C -0.6861 -4.2498 -0.5409
C 0.4490 -4.0319 -1.2568
O 2.3628 -1.1293 -1.3744
C -1.3439 -1.9953 -0.8495
C -0.2825 4.9817 -0.3610
S -0.9809 1.2364 1.8532
H -0.7363 -5.2429 -0.0917
F 0.4910 2.2785 3.7140
H -1.9411 -1.0864 -0.7566
F -1.4717 4.9598 -0.9334
O -0.1094 2.2859 -1.0159
H -2.5680 -3.5107 0.0882
O -2.3101 0.8635 1.5468
C 1.9888 -2.2546 -2.2169
C -1.7077 -3.2918 -0.4511
N -0.8314 2.8801 1.3442
F -0.5597 0.5169 4.2945
N -0.1623 -1.7593 -1.4811
H 2.7222 -3.0077 -2.1128
O 0.2593 0.5097 1.5940
S 0.2437 3.2351 0.0929
F -1.6831 2.3515 4.0264
H 1.9140 -1.8454 -3.2120
F 0.5874 5.3280 -1.2407
H 3.2776 -1.2001 -1.0327
C 0.6967 -2.7293 -1.6722
C -0.6757 1.6583 3.6030

=====

2.
22
Properties=species:S:1:pos:R:3 method="wB97M-V/def2-TZVPD" smiles=N.O.O.O.O.O.O homo_lumo_gap_ev=10.47 homo_energy_ev=-10.16 total_energy_ev=-14018.7778 e_lumo_ev=0.3103
N -2.0462 -2.1625 -0.1023
H -1.6417 -1.5895 -0.8335
O -0.0589 1.6257 -3.0920
O 2.3887 -0.6220 0.6430
H 2.4636 1.0546 -2.0672
H 1.8627 -1.5759 2.5425
H 1.6061 -0.0860 -2.6109
H 3.2093 -0.1680 0.5051
O -0.9904 0.9341 2.3320
O 2.4768 0.1174 -2.2150
H -1.9031 0.7725 2.1329
H -0.1553 2.1574 -3.8595
H 2.3063 -1.6777 3.8791
H -0.7568 0.2165 2.9431
H -0.7270 1.9488 -2.4472
H -1.4094 1.5357 0.0562
H -2.7223 2.1329 -0.3439
H 1.9827 -0.5789 -0.2350
O 1.5010 -1.4605 3.4311
H -2.8677 -2.5582 -0.5821
O -2.0340 1.5646 -0.6704
H -2.4843 -1.5808 0.5937

=====

3.
72
Properties=species:S:1:pos:R:3 method="wB97M-V/def2-TZVPD" homo_lumo_gap_ev="7.35 / 6.77" spin_multiplicity=3 homo_energy_ev="-7.08 / -7.58" total_energy_ev=-114982.1243 e_lumo_ev="0.2702 / -0.8088" s2=2.01
C 1.2005 -2.3462 -1.7864
Cl -3.1175 0.1144 -5.2625
H 3.2172 2.8552 3.5896
C -5.3169 -3.0576 2.6004
H 1.0227 -0.0390 2.6361
Pd -1.9789 -0.3295 0.2610
H 4.4266 0.4785 -0.5362
C 3.2863 1.0737 -2.2754
H -0.8577 -2.5116 0.0083
H 4.6440 0.6281 1.9769
H 0.5176 1.6501 2.5794
H -5.9687 2.5274 -0.1676
N -2.0828 -1.0017 -1.9847
C -1.9683 -0.3884 -2.9520
C -4.3766 -2.2041 3.1353
H 4.4205 2.9030 -2.4681
C 2.6158 1.3538 2.1476
O 1.3412 -0.9831 0.2442
C 1.2880 -2.3126 -0.2672
N -3.4197 -1.9239 0.9720
H 4.2512 -0.7885 -1.7594
C -1.7382 0.3905 -4.1815
S -0.4854 1.4691 -0.1945
C 2.5621 -3.0070 0.2054
C -4.3405 -2.7341 0.4580
H -4.3653 -1.9603 4.1873
H 3.9001 0.3233 3.5534
H 0.1031 -2.9274 1.4332
C 0.0686 -2.9911 0.3465
O 2.0103 0.6709 -1.7715
H 2.5636 -4.0578 -0.0857
C -3.4219 -1.6365 2.2850
C -3.3778 3.4724 0.4924
H 3.0830 -0.3009 -3.9306
H -3.7778 3.6548 -0.5038
O -3.8132 0.8915 0.1364
H 2.2581 3.4758 2.2344
H -4.2800 -2.8986 -0.6120
H -6.0928 3.1940 1.4941
C 3.0391 2.7708 2.5174
H -2.2997 3.3247 0.4467
H 3.4382 -2.5251 -0.2281
Cl -0.2589 -0.2183 -4.9300
........
Brett, No I'm not taking any anti Inflammatory drugs. Last year around the 1st week of August I went In and got some cortisone pills and they worked great through October but this year I'm skipping them too "I think". I hate putting pills In my body. I've tried the Ice packs but haven't had much luck with that either. It's just something I'm going to have to live with I think.
I shot another short session…and even though my ability to shoot a lot of arrows isn’t that good right now, I really can’t complain about the accuracy part. So I guess that’s pretty good news. Maybe I will carry the long bow enough times afield this fall to finally make it happen. Jeff, I know you’ve been really busy training, but I’d have at least had to send a few arrows thru that new bow, even if they were junk arrows shot into an empty field.